My first fake Ditch!

**Molecular data from another source follow:**
____________
The following is a DFT calculation (ωB97M-V/def2-TZVPD) of H2NOP in the gas phase at a distorted geometry.

Positions of all 5 atoms, in Å:
N (-0.070, 0.651, 0.188)
O (0.052, -1.873, -0.245)
P (-0.252, -0.638, -0.928)
H (0.435, 0.298, 1.094)
H (-0.165, 1.562, -0.109)

Its LUMO energy is 0.37 eV. As for the SMILES: NP=O. The energy relative to the best compared isomer or geometry (same formula, charge and spin) comes out at 5.56 kcal/mol.


1.
Density functional theory data (wB97M-V/def2-TZVPD) for 2 unconnected molecules or ions with the total composition C3H10NS.

Its spin multiplicity is 2. The calculation puts the HOMO energy (alpha / beta) at -9.382 / -9.117 eV. As for the HOMO-LUMO gap (alpha / beta): 10.3 / 6.9 eV.

Positions of all 15 atoms, in Å:
C 2.015 -0.711 -1.296
S 0.536 -0.678 -2.492
H 2.117 -0.068 -0.377
H 2.131 -1.759 -0.913
H 2.881 -0.351 -1.903
C -0.641 -0.609 1.402
C -1.501 0.644 0.736
N -0.426 1.541 0.020
H -1.373 -1.168 1.999
H -0.400 -1.328 0.602
H 0.253 -0.296 1.966
H -2.231 0.408 -0.015
H -2.144 1.077 1.628
H -0.176 1.061 -0.882
H -1.042 2.238 -0.474

natural (NBO) atomic charge list, values in e, 2 entries: atom 1 (C): -0.787, atom 2 (S): 0.092

=====

2.
Density functional theory data (wB97M-V/def2-TZVPD) for a molecular structure, C3H10NS.

Its spin multiplicity is 2. The calculation puts the HOMO energy (alpha / beta) at -6.514 / -8.238 eV. As for the HOMO-LUMO gap (alpha / beta): 7.4 / 8.7 eV.

Positions of all 15 atoms, in Å:
C 0.148 -1.505 1.080
N -0.176 -2.385 0.014
H -0.667 -1.277 1.751
H 1.090 -1.585 1.621
H 0.575 -2.983 -0.308
H -0.902 -3.005 0.359
C 0.841 0.406 -1.375
S 0.056 0.453 0.576
C -0.878 2.537 0.318
H 1.035 1.459 -1.469
H -0.025 -0.002 -1.879
H 1.651 -0.278 -1.215
H -1.621 2.990 0.962
H 0.077 3.043 0.192
H -1.204 2.130 -0.628

natural (NBO) atomic charge list, values in e, 2 entries: atom 1 (C): -0.279, atom 2 (N): -0.842

=====

Tell me which of them is the most stable. Sure, it is 1.

=====

1.
Density functional theory data (wB97M-V/def2-TZVPD) for HNO2S in the gas phase.

The SMILES is N=S(=O)=O. The calculation puts the HOMO energy (alpha / beta) at -10.652 / -10.674 eV. As for the HOMO-LUMO gap (alpha / beta): 8.3 / 8.3 eV.

Positions of all 5 atoms, in Å:
N -0.514 1.026 -0.708
O 0.022 -0.884 1.416
O 1.563 -0.879 -0.497
S 0.320 -0.525 0.051
H -1.392 1.262 -0.262

natural (NBO) atomic charge list, values in e, 2 entries: atom 1 (N): -0.789, atom 2 (O): -0.810

=====

2.
Density functional theory data (wB97M-V/def2-TZVPD) for HNO2S in the gas phase.

The calculation puts the HOMO energy at -10.947 eV. As for the HOMO-LUMO gap: 10.6 eV.

Positions of all 5 atoms, in Å:
N -0.490 -0.001 0.493
O -3.176 -0.387 0.412
O -1.187 1.248 0.250
S -1.954 0.048 -0.512
H 0.412 0.043 0.026

natural (NBO) atomic charge list, values in e, 2 entries: atom 1 (N): -0.455, atom 2 (O): -0.829

=====

Tell me which of them is the most stable. Sure, it is 2.

=====

1.
____________
**End of the molecular data:**

My first fake Ditch!

Well, I just posted about Ditch Day, what better than to talk about my firstFake Ditch Day!

_Quantum chemistry results, kept here for reference_
<<<
ORCA calculation (ωB97M-V/def2-TZVPD) on one molecule with the formula C2H6N2O at a distorted geometry.

Calculated values
Kohn-Sham gap in eV: 10.285
Relative energy (zero: lowest compared OMol25 entry of this formula, charge and spin) in kcal per mole: 86.8
HOMO level in eV: -9.50
SMILES: CNNC=O
LUMO energy in eV: 0.8

Structure (ORCA input):
```
! wB97M-V def2-TZVPD RIJCOSX def2/J DEFGRID3
* xyz 0 1
C 0.826 1.181 -0.823
N 1.254 0.165 -0.089
N 0.269 -0.986 -0.151
C -0.882 -0.813 0.464
O -1.622 0.267 0.660
H 1.281 1.057 -1.919
H 1.313 2.128 -0.469
H -0.382 1.378 -0.820
H 1.056 0.415 0.783
H 0.815 -1.844 0.147
H -1.436 -1.727 0.829
*
```

ORCA calculation (ωB97M-V/def2-TZVPD) on one molecule with the formula C2H6N2O at a distorted geometry.

Calculated values
Kohn-Sham gap in eV: 9.854
Relative energy (zero: lowest compared OMol25 entry of this formula, charge and spin) in kcal per mole: 73.9
HOMO level in eV: -8.84
SMILES: N/N=C\CO
LUMO energy in eV: 1.0

Structure (ORCA input):
```
! wB97M-V def2-TZVPD RIJCOSX def2/J DEFGRID3
* xyz 0 1
N -1.700 -0.541 -0.204
N -1.175 0.731 -0.252
C 0.037 0.971 0.177
C 1.011 -0.192 0.408
O 2.265 -0.062 -0.394
H -2.556 -0.556 -0.779
H -2.072 -0.673 0.724
H 0.375 2.001 -0.087
H 1.271 -0.282 1.580
H 0.543 -1.146 0.177
H 2.000 -0.250 -1.349
*
```

ORCA calculation (ωB97M-V/def2-TZVPD) on one molecule with the formula C2H6N2O at a distorted geometry.

Calculated values
Kohn-Sham gap in eV: 10.084
Relative energy (zero: lowest compared OMol25 entry of this formula, charge and spin) in kcal per mole: 69.1
HOMO level in eV: -9.12
SMILES: N/N=C\CO
LUMO energy in eV: 1.0

Structure (ORCA input):
```
! wB97M-V def2-TZVPD RIJCOSX def2/J DEFGRID3
* xyz 0 1
N -0.053 1.535 0.898
N 0.831 1.058 -0.059
C 0.769 -0.143 -0.502
C -0.086 -1.184 0.080
O -1.278 -1.262 -0.663
H 0.230 1.226 1.828
H 0.121 2.490 0.967
H 1.553 -0.486 -1.224
H 0.491 -2.090 0.003
H -0.206 -0.956 1.097
H -1.510 -0.280 -0.710
*
```

ORCA calculation (ωB97M-V/def2-TZVPD) on one molecule with the formula C2H6N2O at a distorted geometry.

Calculated values
Kohn-Sham gap in eV: 10.067
Relative energy (zero: lowest compared OMol25 entry of this formula, charge and spin) in kcal per mole: 126.2
HOMO level in eV: -9.35
SMILES: [H]/N=C\NOC
LUMO energy in eV: 0.7

Structure (ORCA input):
```
! wB97M-V def2-TZVPD RIJCOSX def2/J DEFGRID3
* xyz 0 1
H 2.301 0.720 -0.909
N 2.502 0.176 0.050
C 1.514 -0.633 0.373
N 0.468 -0.616 -0.587
O -1.027 -0.913 -0.196
C -1.734 0.294 0.158
H 1.217 -1.042 1.361
H 0.224 0.242 -1.282
H -1.108 0.619 0.911
H -2.700 0.158 0.794
H -1.657 0.994 -0.674
*
```

ORCA calculation (ωB97M-V/def2-TZVPD) on one molecule with the formula C2H6N2O at a distorted geometry.

Calculated values
Kohn-Sham gap in eV: 10.182
Relative energy (zero: lowest compared OMol25 entry of this formula, charge and spin) in kcal per mole: 123.4
HOMO level in eV: -9.29
SMILES: [H]/N=C/NOC
LUMO energy in eV: 0.9

Structure (ORCA input):
```
>>>

For reference, at the conclusion of Ditch Day, juniors become seniors and seniors become “ghosts.” Thus, while Ditch Day is an institute holiday,FakeDitch Days are simple days of hour-long activities planned by the seniors (keeping in mind that the “senior” nomenclature is synchronized to the Ditch Day year rather than the calendar year). On a fake ditch day, the same pots-and-pans banging-and-yelling goes around the house at 7:30, and stacks start at 8, but they generally end a little before 9 with some refreshments so that participants can go home, de-yuckify and go to class. Since classes aren’t cancelled on fake ditch days, there are generally very few participants, and the seniors are a little bit more courteous about not forcibly trying to wakeeverybody up; in Avery house, an ‘X’ on your door indicates you would prefer not to be woken up.

The “Day after Tomorrow” is exactly what one would expect it to be; it is a fake ditch scheduled immediately after Tomorrow, the real Ditch Day. In our case, since Ditch Day was held on a Friday of a long weekend, the Day after Tomorrow actually went down on a Tuesday. The fact that a chronic characteristic of a Caltech student is procrastination meant that the Tuesday after a long weekend was anexceptionally bad time to ask people to wake up early, but for the sake of tradition some sort of fake ditch day had to be done.

The seniors scrambled together some planning in the week leading up to Ditch Day, and on Saturday the planning began in earnest. We planned for there to be two stacks, one board-game themed and one arcade-game themed. A good use for fake ditch days is to figure out who really cares about planning such activities and who has different sets of priorities, and also to figure out who cooperates well with who, who does what well etc. This weekend, alot of people happened to be busy, and two core members fell ill, so what was supposed to be a 7-8 man effort on our stack fell down to four seniors organizing. Thankfully, one alumnus who happened to still be around came down to help us, and so at midnight Tuesday morning we began work.

Students would sit down and remain immobile for the game, and take turns throwing volleys of dodgeballs, trying to hit every member of the opposing team out. Below were the two rounds we played before somebody “accidentally” tore the net down and a 10-minute game of just regular dodgeball ensued:

Our second game was a mashup of Risk and Capture the Flag. It was a turn-based game like Risk, but we would have the students try and capture a “flag” and bring it back to home base. Unfortunately, since we were short on people (as mentioned, Day after Tomorrow is notorious for having low attendance), I wasn’t able to take an in-action shot and could only get a setup shot, but it should give you an idea of the scope of our preparations:

As you can see, everybody is holding their own little die, a familiar phenomenon for anybody familiar with Risk. A big chunk of our preparation time was spent making these dice. Initially, we wanted 3’x3’x3’ dice, but the boxes proved prohibitively expensive, so we settled for 4”x4”x4” versions.

While there weren’t too many people who showed up, I had a lot of fun preparing for and organizing the event. This event coincidentally was my first all-nighterever here at Caltech, since the same night I had to do a physics lab pre-lab assignment and write up a set for which I only knew nebulously the solutions, but it was totally worth it. I ended up staying awake for a full 39 hours, since I had another hard set due the next day, but it’s an experience I’d gladly repeat and intend to repeat again (barring better organization and planning…). It is just so much fun constructing things, and even if few people show up you have a product that you can point to and say “I helped set that up.”

_Quantum chemistry results, kept here for reference_
/*
Record 1
ORCA calculation (the ωB97M-V functional and the def2-TZVPD basis) on a structure of composition C6H24F4N14O14S4 at a distorted geometry.

Calculated values
Kohn-Sham gap = 6.371 eV

Structure (ORCA input):
```
! RIJCOSX wB97M-V def2-TZVPD def2/J DEFGRID3
* xyz -2 1
N 1.483 -0.554 -0.171
S 0.495 0.539 0.126
O 1.000 1.635 0.803
O -0.943 0.268 0.307
F 0.428 1.097 -1.413
S 0.981 -1.607 1.090
O -0.331 -2.243 1.065
O 1.665 -1.069 2.348
F 1.913 -2.773 0.662
N 1.083 -3.185 -1.197
S -0.196 -3.875 -1.304
O -0.681 -4.644 -0.136
O -0.791 -4.148 -2.591
F -1.058 -2.627 -0.854
S 2.059 -4.634 -1.269
O 1.936 -5.394 -2.485
O 2.311 -5.375 -0.007
F 3.427 -3.827 -1.447
C 0.468 3.645 1.842
O 0.816 3.893 0.690
N 1.050 2.676 2.560
N -0.452 4.261 2.585
H 1.863 2.274 2.115
H 0.809 2.473 3.519
H -0.472 4.051 3.573
H -0.733 5.118 2.131
C 3.955 0.329 0.164
O 5.102 0.711 -0.012
N 3.018 0.522 -0.714
N 3.461 -0.309 1.189
H 3.308 0.566 -1.680
H 2.068 0.222 -0.552
H 2.506 -0.598 1.035
H 4.001 -0.547 2.009
C -2.476 1.701 -2.386
O -2.736 2.706 -2.961
N -3.286 0.868 -1.782
N -1.425 1.017 -2.655
H -2.873 0.023 -1.414
H -4.281 1.035 -1.760
H -1.020 0.246 -2.143
H -0.809 1.508 -3.287
C 0.675 3.342 -2.193
O 0.193 4.354 -2.356
N 0.860 2.889 -0.964
N 0.866 2.397 -3.121
H 1.233 1.951 -0.929
H 0.606 3.462 -0.172
H 1.073 1.458 -2.812
H 0.660 2.570 -4.094
C -0.953 -0.037 3.216
O -0.319 1.036 3.375
N -1.582 -0.668 4.181
N -1.239 -0.625 2.110
H -1.678 -0.104 5.013
H -2.117 -1.484 3.919
H -1.078 -0.153 1.232
H -1.474 -1.607 2.145
C -3.185 -1.538 -0.608
O -4.043 -0.806 -0.926
N -1.971 -1.110 -0.429
N -3.270 -2.854 -0.550
H -2.040 -0.113 -0.286
H -1.283 -1.675 0.048
H -4.133 -3.230 -0.915
H -2.446 -3.433 -0.478
*
```

---

Record 2
ORCA calculation (the ωB97M-V functional and the def2-TZVPD basis) on a cluster of 6 separate species, C6H24N12O6 in total at a distorted geometry.

Calculated values
Kohn-Sham gap = 8.965 eV
energy above the lowest of the compared OMol25 structures with the same formula, charge and spin = 99.32 kcal/mol
SMILES = NC(N)=O.NC(N)=O.NC(N)=O.NC(N)=O.NC(N)=O.NC(N)=O

Structure (ORCA input):
```
! RIJCOSX wB97M-V def2-TZVPD def2/J DEFGRID3
* xyz 0 1
C 3.585 0.768 -0.562
O 3.339 -0.288 -1.078
N 4.251 1.737 -1.203
N 3.308 1.092 0.736
H 4.429 1.564 -2.182
H 4.291 2.642 -0.756
H 3.084 0.387 1.423
H 3.252 2.099 0.789
C -4.632 3.488 -0.332
O -5.757 3.012 -0.153
N -4.491 4.755 -0.138
N -3.564 2.851 -0.728
H -5.384 5.216 -0.040
H -3.589 5.180 -0.298
H -3.465 1.849 -0.649
H -2.724 3.371 -0.938
C -0.382 0.162 -0.332
O -1.283 0.835 0.189
N 0.579 0.618 -1.105
N -0.368 -1.048 -0.112
H 0.929 1.560 -0.998
H 1.008 -0.190 -1.531
H -1.122 -1.427 0.443
H 0.488 -1.537 -0.330
C 0.351 -3.034 -2.499
O -0.869 -2.914 -2.768
N 0.881 -4.119 -2.013
N 1.284 -2.176 -2.885
H 1.868 -4.152 -1.799
H 0.303 -4.893 -1.719
H 1.061 -1.370 -3.451
H 2.252 -2.331 -2.644
C 1.920 -5.590 1.075
O 1.131 -5.997 1.915
N 2.761 -6.272 0.356
N 2.057 -4.286 0.814
H 3.304 -5.840 -0.378
H 3.007 -7.174 0.738
*/
_End of the quantum chemistry results_

I can’t wait for all the fake ditch days coming up this year, let alone the true test that marks my final day as a Caltech senior.